Source
<<<
Record 1
The following is a PBE calculation of an optimized crystal structure of U2Cu5Ni5, from the Materials Project database.

Cell lengths 8.4201, 4.7711, 8.3341 Å; angles 90.00, 108.78, 90.00 degrees
Last column: nearest neighbours and their distance in Å.
Space group Cm (No. 8)
Asymmetric unit:
1 U 0.0000 0.0000 0.0000 [2 per cell]  7 Ni 2.80-3.02, 9 Cu 2.81-2.85
2 U 0.0009 0.5000 0.5025 [2 per cell]  10 Ni 2.79-3.02, 6 Cu 2.83-2.86
3 Cu 0.1929 0.2472 0.8120 [4 per cell]  3 Cu 2.36-2.43, 3 Ni 2.39-2.44
4 Cu 0.1928 0.2519 0.3126 [4 per cell]  3 Cu 2.37-2.40, 3 Ni 2.41-2.43
5 Cu 0.1929 0.5000 0.0652 [2 per cell]  4 Cu 2.38-2.43, 2 Ni 2.42-2.45
6 Ni 0.1921 0.0000 0.5629 [2 per cell]  4 Cu 2.39-2.41, 2 Ni 2.44
7 Ni 0.3783 0.0000 0.1246 [2 per cell]  9 Cu 2.81-2.86, 3 Ni 2.81, 4 U 2.92-3.02
8 Ni 0.3794 0.5000 0.6272 [2 per cell]  6 Ni 2.80-2.85, 6 Cu 2.80-2.85, 4 U 2.92-3.02
9 Ni 0.4420 0.0000 0.8133 [2 per cell]  5 Cu 2.40-2.45, 1 Ni 2.44
10 Ni 0.4422 0.5000 0.3124 [2 per cell]  5 Cu 2.41-2.43, 1 Ni 2.44

Properties
E_form: -0.054 eV per atom
Crystal system: monoclinic

***

Record 2
The following is a PBE calculation of an optimized crystal structure of Y2Cu5Ni12, from the Materials Project database.

Cell lengths 8.3393, 14.4093, 8.1327 Å; angles 90.00, 90.00, 90.00 degrees
Last column: nearest neighbours and their distance in Å.
Space group Cmcm (No. 63)
Asymmetric unit:
1 Y 0.0000 0.9996 0.2500 [4 per cell]  18 Ni 2.88-3.22
2 Y 0.0000 0.3337 0.2500 [4 per cell]  8 Cu 2.89-3.15, 12 Ni 2.97-3.08
3 Cu 0.0000 0.3333 0.6050 [8 per cell]  4 Cu 2.36-2.55, 3 Ni 2.63-2.64
4 Cu 0.0000 0.5000 0.0000 [4 per cell]  8 Ni 2.42-2.43, 2 Cu 2.55
5 Cu 0.2500 0.2500 0.0000 [8 per cell]  8 Ni 2.42-2.43, 2 Cu 2.55
6 Ni 0.0000 0.1642 0.0181 [8 per cell]  6 Ni 2.39-2.52, 3 Cu 2.43-2.63
7 Ni 0.1440 0.1820 0.7500 [8 per cell]  6 Ni 2.40-2.58, 2 Cu 2.42
8 Ni 0.1550 0.4810 0.7500 [8 per cell]  6 Ni 2.40-2.59, 2 Cu 2.42
9 Ni 0.2008 0.1629 0.2500 [8 per cell]  6 Ni 2.40-2.58, 2 Cu 2.42
10 Ni 0.2464 0.0821 0.5182 [16 per cell]  6 Ni 2.38-2.52, 3 Cu 2.42-2.64

Properties
E_form: -0.164 eV per atom
Crystal system: orthorhombic

***

Record 3
The following is a PBE calculation of an optimized crystal structure of Y2Cu5Ni5, from the Materials Project database.

Cell lengths 3.9688, 4.9954, 8.6260 Å; angles 90.00, 90.00, 90.00 degrees
Last column: nearest neighbours and their distance in Å.
Space group Pmmm (No. 47)
Asymmetric unit:
1 Y 0.0000 0.0000 0.0000 [1 per cell]  6 Cu 2.85-2.89, 12 Ni 3.18-3.19
2 Y 0.0000 0.5000 0.5000 [1 per cell]  10 Cu 2.87-3.19, 8 Ni 3.19
3 Cu 0.0000 0.0000 0.3309 [2 per cell]  4 Ni 2.45, 2 Cu 2.46
4 Cu 0.0000 0.5000 0.1676 [2 per cell]  6 Ni 2.44-2.46
5 Cu 0.5000 0.0000 0.5000 [1 per cell]  4 Cu 2.46, 4 Ni 2.51
6 Ni 0.5000 0.2516 0.2486 [4 per cell]  5 Cu 2.44-2.51, 3 Ni 2.48-2.51
7 Ni 0.5000 0.5000 0.0000 [1 per cell]  4 Cu 2.46, 4 Ni 2.48

Properties
E_form: -0.271 eV per atom
Crystal system: orthorhombic

***

Record 4
The following is a PBE calculation of an optimized crystal structure of Zn2CuNi, from the Materials Project database.

Cell lengths 2.9331, 2.9331, 5.8286 Å; angles 90.00, 90.00, 90.00 degrees
Last column: nearest neighbours and their distance in Å.
Space group P4/mmm (No. 123)
Asymmetric unit:
1 Zn 0.0000 0.0000 0.2420 [2 per cell]  4 Ni 2.51, 4 Cu 2.56
2 Cu 0.5000 0.5000 0.5000 [1 per cell]  8 Zn 2.56
3 Ni 0.5000 0.5000 0.0000 [1 per cell]  8 Zn 2.51

Properties
E_form: -0.164 eV per atom
Crystal system: tetragonal

***

Record 5
The following is a PBE calculation of an optimized crystal structure of Np3Cu, from the Materials Project database.

Cell lengths 6.4373, 6.4373, 6.4373 Å; angles 90.00, 90.00, 90.00 degrees
Last column: nearest neighbours and their distance in Å.
Space group Fm-3m (No. 225)
Asymmetric unit:
1 Np 0.0000 0.0000 0.0000 [4 per cell]  8 Np 2.79
2 Np 0.2500 0.2500 0.2500 [8 per cell]  4 Np 2.79, 4 Cu 2.79
3 Cu 0.0000 0.0000 0.5000 [4 per cell]  8 Np 2.79

Properties
>>>
Activity
Next, quote every line further above that contains the word "monoclinic".
Here it is
Crystal system: monoclinic